To do =
Repeat the listing further below from the line with "angles: 60.00" to the end exactly.
Material =
'''
Record 1
The following is a PBE calculation of crystalline Cd3TcB at its relaxed geometry, from Alexandria via LeMat-Bulk.

Formation energy in kJ per mole of atoms: 97.5
Space-group type: Pm-3m (221)

abc: 4.5120 4.5120 4.5120
angles: 90.00 90.00 90.00
With the nearest neighbours (Å) after each atom.
Sites, in units of the cell vectors:
Cd (0.0000, 0.0000, 0.5000)  2 B 2.26
Cd (0.5000, 0.0000, 0.0000)  2 B 2.26
Cd (0.0000, 0.5000, 0.0000)  2 B 2.26
B (0.0000, 0.0000, 0.0000)  6 Cd 2.26
Tc (0.5000, 0.5000, 0.5000)  12 Cd 3.19

---

Record 2
The following is a PBE calculation of crystalline CdTc2B at its relaxed geometry, from Alexandria via LeMat-Bulk.

Formation energy in kJ per mole of atoms: 92.1
Space-group type: Fm-3m (225)

abc: 4.2715 4.2715 4.2715
angles: 60.00 60.00 60.00
With the nearest neighbours (Å) after each atom.
Sites, in units of the cell vectors:
B (0.0000, 0.0000, 0.0000)  8 Tc 2.62
Tc (0.2500, 0.2500, 0.2500)  4 Cd 2.62, 4 B 2.62
Tc (0.7500, 0.7500, 0.7500)  4 B 2.62, 4 Cd 2.62
Cd (0.5000, 0.5000, 0.5000)  8 Tc 2.62

---

Record 3
The following is a PBE calculation of crystalline CdTcB3 at its relaxed geometry, from Alexandria via LeMat-Bulk.

Formation energy in kJ per mole of atoms: 102.0
Space-group type: Pm-3m (221)

abc: 4.1428 4.1428 4.1428
angles: 90.00 90.00 90.00
With the nearest neighbours (Å) after each atom.
Sites, in units of the cell vectors:
Tc (0.0000, 0.0000, 0.0000)  6 B 2.07
Cd (0.5000, 0.5000, 0.5000)  12 B 2.93
B (0.0000, 0.0000, 0.5000)  2 Tc 2.07
B (0.0000, 0.5000, 0.0000)  2 Tc 2.07
B (0.5000, 0.0000, 0.0000)  2 Tc 2.07

---

Record 4
The following is a PBE calculation of crystalline Cd3TcB at its relaxed geometry, from Alexandria via LeMat-Bulk.

Formation energy in kJ per mole of atoms: 167.6
Space-group type: Pm-3m (221)

abc: 5.2534 5.2534 5.2534
angles: 90.00 90.00 90.00
With the nearest neighbours (Å) after each atom.
Sites, in units of the cell vectors:
Cd (0.0000, 0.5000, 0.0000)  2 Tc 2.63
Cd (0.5000, 0.0000, 0.0000)  2 Tc 2.63
Cd (0.0000, 0.0000, 0.5000)  2 Tc 2.63
B (0.5000, 0.5000, 0.5000)  12 Cd 3.71
Tc (0.0000, 0.0000, 0.0000)  6 Cd 2.63

---

Record 5
The following is a PBE calculation of crystalline CdTc2B at its relaxed geometry, from Alexandria via LeMat-Bulk.

Formation energy in kJ per mole of atoms: 93.3
Space-group type: I-42d (122)

abc: 4.0781 4.0781 8.6077
angles: 76.30 76.30 90.00
With the nearest neighbours (Å) after each atom.
Sites, in units of the cell vectors:
B (0.2500, 0.7500, 0.5000)  4 Tc 2.34
B (0.5000, 0.5000, 0.0000)  4 Tc 2.34
Tc (0.5145, 0.1250, 0.2500)  2 Tc 2.34, 2 B 2.34
Tc (0.3750, 0.4855, 0.7500)  2 Tc 2.34, 2 B 2.34
Tc (0.8750, 0.7645, 0.7500)  2 Tc 2.34, 2 B 2.34
Tc (0.2355, 0.6250, 0.2500)  2 Tc 2.34, 2 B 2.34
Cd (0.7500, 0.2500, 0.5000)  4 Tc 2.70, 4 B 2.88
Cd (0.0000, 0.0000, 0.0000)  4 Tc 2.70, 4 B 2.88

---

Record 6
The following is a PBE calculation of crystalline TiCdTc2B at its relaxed geometry, from Alexandria via LeMat-Bulk.

Formation energy in kJ per mole of atoms: 195.4
Space-group type: P4/mmm (123)

abc: 4.9434 3.8969 4.9434
angles: 90.00 90.00 90.00
With the nearest neighbours (Å) after each atom.
Sites, in units of the cell vectors:
Tc (0.5000, 0.0000, 0.0000)  2 Cd 2.47
Tc (0.0000, 0.0000, 0.5000)  2 Cd 2.47
Ti (0.5000, 0.5000, 0.5000)  8 Tc 3.15, 4 B 3.50
B (0.0000, 0.5000, 0.0000)  2 Cd 1.95
Cd (0.0000, 0.0000, 0.0000)  2 B 1.95

---

Record 7
The following is a PBE calculation of crystalline Zn2CdTcB at its relaxed geometry, from Alexandria via LeMat-Bulk.

Formation energy in kJ per mole of atoms: 80.6
Space-group type: P4/mmm (123)

abc: 4.1277 4.5439 4.1277
angles: 90.00 90.00 90.00
With the nearest neighbours (Å) after each atom.
Sites, in units of the cell vectors:
Zn (0.5000, 0.0000, 0.0000)  2 B 2.06
Zn (0.0000, 0.0000, 0.5000)  2 B 2.06
Tc (0.5000, 0.5000, 0.5000)  4 Cd 2.92, 8 Zn 3.07
Cd (0.0000, 0.5000, 0.0000)  2 B 2.27
B (0.0000, 0.0000, 0.0000)  4 Zn 2.06, 2 Cd 2.27

---

Record 8
'''
Result =
angles: 60.00 60.00 60.00
With the nearest neighbours (Å) after each atom.
Sites, in units of the cell vectors:
B (0.0000, 0.0000, 0.0000)  8 Tc 2.62
Tc (0.2500, 0.2500, 0.2500)  4 Cd 2.62, 4 B 2.62
Tc (0.7500, 0.7500, 0.7500)  4 B 2.62, 4 Cd 2.62
Cd (0.5000, 0.5000, 0.5000)  8 Tc 2.62

---

Record 3
The following is a PBE calculation of crystalline CdTcB3 at its relaxed geometry, from Alexandria via LeMat-Bulk.

Formation energy in kJ per mole of atoms: 102.0
Space-group type: Pm-3m (221)

abc: 4.1428 4.1428 4.1428
angles: 90.00 90.00 90.00
With the nearest neighbours (Å) after each atom.
Sites, in units of the cell vectors:
Tc (0.0000, 0.0000, 0.0000)  6 B 2.07
Cd (0.5000, 0.5000, 0.5000)  12 B 2.93
B (0.0000, 0.0000, 0.5000)  2 Tc 2.07
B (0.0000, 0.5000, 0.0000)  2 Tc 2.07
B (0.5000, 0.0000, 0.0000)  2 Tc 2.07

---

Record 4
The following is a PBE calculation of crystalline Cd3TcB at its relaxed geometry, from Alexandria via LeMat-Bulk.

Formation energy in kJ per mole of atoms: 167.6
Space-group type: Pm-3m (221)

abc: 5.2534 5.2534 5.2534
angles: 90.00 90.00 90.00
With the nearest neighbours (Å) after each atom.
Sites, in units of the cell vectors:
Cd (0.0000, 0.5000, 0.0000)  2 Tc 2.63
Cd (0.5000, 0.0000, 0.0000)  2 Tc 2.63
Cd (0.0000, 0.0000, 0.5000)  2 Tc 2.63
B (0.5000, 0.5000, 0.5000)  12 Cd 3.71
Tc (0.0000, 0.0000, 0.0000)  6 Cd 2.63

---

Record 5
The following is a PBE calculation of crystalline CdTc2B at its relaxed geometry, from Alexandria via LeMat-Bulk.

Formation energy in kJ per mole of atoms: 93.3
Space-group type: I-42d (122)

abc: 4.0781 4.0781 8.6077
angles: 76.30 76.30 90.00
With the nearest neighbours (Å) after each atom.
Sites, in units of the cell vectors:
B (0.2500, 0.7500, 0.5000)  4 Tc 2.34
B (0.5000, 0.5000, 0.0000)  4 Tc 2.34
Tc (0.5145, 0.1250, 0.2500)  2 Tc 2.34, 2 B 2.34
Tc (0.3750, 0.4855, 0.7500)  2 Tc 2.34, 2 B 2.34
Tc (0.8750, 0.7645, 0.7500)  2 Tc 2.34, 2 B 2.34
Tc (0.2355, 0.6250, 0.2500)  2 Tc 2.34, 2 B 2.34
Cd (0.7500, 0.2500, 0.5000)  4 Tc 2.70, 4 B 2.88
Cd (0.0000, 0.0000, 0.0000)  4 Tc 2.70, 4 B 2.88

---

Record 6
The following is a PBE calculation of crystalline TiCdTc2B at its relaxed geometry, from Alexandria via LeMat-Bulk.

Formation energy in kJ per mole of atoms: 195.4
Space-group type: P4/mmm (123)

abc: 4.9434 3.8969 4.9434
angles: 90.00 90.00 90.00
With the nearest neighbours (Å) after each atom.
Sites, in units of the cell vectors:
Tc (0.5000, 0.0000, 0.0000)  2 Cd 2.47
Tc (0.0000, 0.0000, 0.5000)  2 Cd 2.47
Ti (0.5000, 0.5000, 0.5000)  8 Tc 3.15, 4 B 3.50
B (0.0000, 0.5000, 0.0000)  2 Cd 1.95
Cd (0.0000, 0.0000, 0.0000)  2 B 1.95

---

Record 7
The following is a PBE calculation of crystalline Zn2CdTcB at its relaxed geometry, from Alexandria via LeMat-Bulk.

Formation energy in kJ per mole of atoms: 80.6
Space-group type: P4/mmm (123)

abc: 4.1277 4.5439 4.1277
angles: 90.00 90.00 90.00
With the nearest neighbours (Å) after each atom.
Sites, in units of the cell vectors:
Zn (0.5000, 0.0000, 0.0000)  2 B 2.06
Zn (0.0000, 0.0000, 0.5000)  2 B 2.06
Tc (0.5000, 0.5000, 0.5000)  4 Cd 2.92, 8 Zn 3.07
Cd (0.0000, 0.5000, 0.0000)  2 B 2.27
B (0.0000, 0.0000, 0.0000)  4 Zn 2.06, 2 Cd 2.27

---

Record 8